The Art of The Auto


Well-Known Member
Aw FullD...I want BOTH of them...Bro...SO CUTE.
Thanks, there some cute little buggers and yeah they are still on the bottle. Its gonna be hard to break the habit lol

Loads of spare karma sent for them m8...
Appreciated my friend

I Love the anticipation of something New to the world........:clap:...
and this is what i cant wait for when these seeds on the ICU are done. Took a look today and i can see seed pods forming :twisted:

Thats AF Love....:mrgreen:
And it is its more like a disease to be honest. Every time i go for a smoke i have to take a peek at them. Its habit now and i really enjoy it because there is a change every day.

• Quantum chemistry results from another source follow:
~~~
Computed, not measured: a structure of composition C19H21CdNO2S, with ωB97M-V/def2-TZVPD.

Computed properties:
Kohn-Sham gap (spin up / spin down) in eV: 3.60 / 5.04
Energy above the lowest of the compared OMol25 structures with the same formula, charge and spin in kcal/mol: 0.0

ORCA input file:
```
! wB97M-V def2-TZVPD RIJCOSX def2/J DEFGRID3
* xyz -2 1
Cd -1.625 -13.627 4.352
S -3.147 -18.785 3.967
C -4.649 -18.313 3.252
C -5.754 -19.069 2.987
C -6.919 -18.469 2.459
C -6.891 -17.121 2.123
C -5.758 -16.362 2.287
C -4.609 -16.925 2.922
N -3.474 -16.263 3.311
C -2.565 -17.090 3.905
C -1.199 -16.844 4.265
C -0.355 -18.001 4.550
C 0.964 -17.858 4.922
C 1.524 -16.575 5.139
C 0.691 -15.494 4.907
C -0.605 -15.567 4.449
H -5.813 -20.108 3.271
H -7.766 -19.088 2.275
H -7.766 -16.690 1.694
H -5.683 -15.337 1.993
H -0.794 -18.979 4.471
H 1.480 -18.808 5.079
H 2.548 -16.428 5.525
H 1.110 -14.487 5.059
C 2.035 -12.045 6.420
C 0.587 -11.596 6.136
C 0.583 -10.027 6.256
O 0.134 -12.015 4.896
H 2.393 -11.747 7.409
H 2.675 -11.642 5.611
H 2.058 -13.128 6.387
H 0.027 -11.932 7.061
H 1.101 -9.554 5.409
H 1.060 -9.715 7.198
H -0.462 -9.739 6.264
C -4.821 -13.672 4.726
O -4.407 -12.652 3.771
C -3.091 -12.234 3.947
C -2.845 -10.942 3.279
H -5.447 -13.180 5.491
H -3.970 -14.085 5.266
H -5.432 -14.445 4.225
H -3.006 -11.024 2.143
H -1.825 -10.601 3.498
H -3.580 -10.179 3.617
*
```

~~~~~

No. 1
The following is a quantum chemistry calculation of a molecular structure, C40H36ClCoI2N3P, from the OMol25 dataset.

LUMO energy (spin up / spin down): -6.91 / -8.46 eV
Highest occupied orbital energy (spin up / spin down): -13.6 / -13.6 eV
2S+1: 5
Energy above the lowest of the compared OMol25 structures with the same formula, charge and spin: 0.000 eV
Charge: +2

Each line ends with the Löwdin charge.
CARTESIAN COORDINATES (ANGSTROEM)
Co 0.05147 0.14456 -0.14967  0.05
C -0.23180 0.16597 6.36149  -0.02
C 0.20237 -1.26125 6.14609  -0.20
C 0.12112 -2.20672 7.16448  -0.02
C 0.52417 -3.51973 6.97176  -0.05
C 1.04492 -3.91104 5.74818  -0.06
C 1.15848 -2.98187 4.72443  -0.04
C 0.71879 -1.67777 4.92213  -0.20
N 0.83910 -0.69950 3.87686  0.18
C 0.39189 -0.81002 2.61918  -0.34
N -0.41382 -1.86849 2.36887  0.16
C -0.97990 -2.26654 1.16050  -0.35
C -0.91963 -1.50082 -0.01004  -0.33
C -1.57189 -1.95960 -1.15354  -0.18
C -2.29326 -3.13685 -1.13629  -0.04
C -2.35638 -3.89180 0.03126  -0.02
C -1.70281 -3.49275 1.18122  -0.24
C -1.76624 -4.31615 2.44114  -0.02
N 0.69302 0.08232 1.69080  0.04
C 1.59234 1.13512 2.12806  -0.32
C 1.02328 2.32669 2.56688  -0.06
C 1.82715 3.37809 2.97351  -0.06
C 3.20839 3.22898 2.94154  -0.05
C 3.76512 2.03064 2.52432  -0.02
C 2.97328 0.95142 2.12409  -0.22
C 3.61620 -0.36426 1.76266  -0.04
H -0.80782 0.25706 7.28028  0.09
H -0.84739 0.52903 5.53499  0.06
H 0.62837 0.83689 6.45317  0.10
H -0.27673 -1.90402 8.12630  0.12
H 0.44421 -4.23354 7.78144  0.12
H 1.38882 -4.92630 5.59737  0.12
H 1.62507 -3.26047 3.78389  0.12
H 1.27474 0.18277 4.10564  0.15
~~~
• So much for the quantum chemistry results:

Can't help thinking that the way she pulls all her buds up on the level..that she would be Great for lights.
:hump::hump: SCROG with out the need for the screen.

But I was telling FullD...
there is an Ultra Indy..Ultra Stench pheno there that I will work forward.
when you do cut them down..check to see if the are Hollow stems or not.
Im hoping that when i cut this ICU i see a hollow stem, as she is ultra indy, and stretchy. Fingers crossed for the third part

BTW..11 out of 12 of my ALFie babies are above soil in the Air-pot...
and 8 out of 8 JEM.
Oh and 12 I think Whores.
Great cant wait to watch this. You said one stone correct in the pot? I cant remember

FullD...WATER...I can't grow good girls in small pots......water......:clap:
Wish you could smell these Bitches first thing in the morning...
Thanks my friend and i wish i could to i bet the smell is amazing. Would be like walking through the gates of heaven

FullD..11 fingers....
I told you i knew who had it.

think you'll be back befre christmas? lol

Def a big cojoined smoke for the day... in honor of mini-christmas-trees everywhere!
Oh yeah i am back now just trying to dig my way through the last 10 pages that ripped through here.


Well-Known Member

I have to agree with the guys on this. Let it set and dry out and then add a little nutes. I couldnt quiet tell from the pics what you hand till you or BH mentioned the spots.

I had this happen to me on the cup challenge last year. It turned out to be me UNDER feeding my gals. So i figure once you hit her with some nutes shell turn around for you


Active Member
Hello guys, i found your thread and is wonderful. i am also fan of autos.this is my first grow.They are 5 lowryders 1 ,is soil grow, with 2 led lights ufo 90watt and 50 plus one halogen 200 watts, temperature is around 20, fertilizer is iguana grow organic from advanced nutrients,ph 7,at the moment soon i will add the bloom they have 37 days and they started to flower.the tallest is 30 cm and the shorter going good my grow ?how much wield i must expect from this plants?i am beginner so any advice will be apreciated.thnaks
Hello mate. Welcome to the thread. They look healthy.
Stretched out a but though. You might try getting the LED closer to them, like that one in the back (in the group shot), the nodes are nice and tight. The halogen light is pretty much useless. It will just make more heat than it is worth. CFL's HPS MH CMH LED's are all good for indoor cultivation.

Yeild is a hard thing to give advice about. How you grow them will affect this in a large way.

Keep us posted.

John Mondello

Active Member
The Ususual Slutspects:

nutes / adjustments added Today (thnx FD n mossy):

(3) 1.5 gal units used and for each:

5 ml H202 / 1.5 gal water
10 ml Vinegar / 1.5 gal water (ph 8.3 adjusted to ph 6.25)
10 ml FF Tiger Bloom / 1.5 gal water
1/4 tsp high phoso bat guano / 1.5 gal water
24 ml FF Big Bloom / 1.5 gal water

no adj water measurements:

ph @ 8.3
ppm @ 225

post adjustments:

ph @ 6.25
ppm @ 1248

ph: 2.5
ppm: 1023




Well-Known Member
has anybody notice the trichomes maturing slowly?
for instance the pistils would suggest its time to harvest now...the triches tell another story


Active Member
Morning m8's.........:bigjoint:

JM..just seen a bit swathe of girls..going back for a Drool......:hump:

Look at can I resist such temptation in the morning.....

no..not the girls...the PEAS.......

oh get thee behind me satan...the temptation is Too Much....

Snack Attak....:twisted:

John Mondello

Active Member
Mornin Mr mosser... you cant resist, you just cant... and neither could I

-- begin --
19
Properties=species:S:1:pos:R:3:mulliken_charge:R:1 method="wB97M-V/def2-TZVPD" total_charge=+1 energy_ev=-16892.86859 de_lowest_kcal_mol=10.6 gap_ev=11.7 lumo_energy_ev=-3.34 homo_ev=-15.05 spin_multiplicity=1
Na -23.27416 -11.44072 -15.22908 0.803
O -21.39689 -10.83627 -13.61236 -0.538
H -20.52918 -10.89496 -14.01219 0.307
H -21.25636 -10.34064 -12.80562 0.282
O -22.01166 -9.85291 -16.83381 -0.593
H -22.58083 -9.20879 -17.25497 0.304
H -21.37219 -9.32899 -16.35129 0.321
O -24.83010 -12.74356 -16.73962 -0.544
H -25.49188 -13.13551 -16.16982 0.301
H -24.86975 -13.26039 -17.54433 0.285
O -24.48202 -9.42672 -14.93250 -0.601
H -24.50516 -8.52172 -15.24343 0.283
H -25.36105 -9.76298 -15.10701 0.332
O -25.10586 -12.39054 -13.45073 -0.570
H -25.69260 -13.10948 -13.68546 0.307
H -25.68168 -11.72259 -13.07857 0.303
O -22.57581 -14.02573 -15.23977 -0.607
H -22.47421 -14.46547 -16.08389 0.326
H -23.45593 -14.26474 -14.94906 0.300

---

9
Properties=species:S:1:pos:R:3:mulliken_charge:R:1 method="wB97M-V/def2-TZVPD" energy_ev=-18537.92841 de_lowest_kcal_mol=127.4 gap_ev="8.7 / 8.7" lumo_energy_ev="-0.38 / -0.38" homo_ev="-9.07 / -9.07" spin_multiplicity=1
C 0.42106 1.56478 0.01653 0.574
C -0.06769 0.30011 0.03322 -0.963
N 2.34329 -0.68793 0.17271 0.240
O 0.59014 2.70076 0.16583 -0.280
O 2.94220 -1.76143 0.16193 -0.499
S 3.02617 0.78045 0.16115 -0.208
H -0.86577 -0.26626 -0.45502 0.389
H 1.07721 -0.56954 -0.07944 0.432
H -0.35246 -0.03194 1.07005 0.315

---

13
Properties=species:S:1:pos:R:3:mulliken_charge:R:1 method="wB97M-V/def2-TZVPD" energy_ev=-7796.06282 de_lowest_kcal_mol=82.6 gap_ev=8.6 lumo_energy_ev=0.91 homo_ev=-7.67 spin_multiplicity=1
C -0.81762 0.32452 1.80149 -1.051
C -0.29364 -0.00516 0.44107 0.676
N -0.92346 -0.64323 -0.44457 -0.053
C -1.38530 -1.02181 -1.56186 -0.373
C 1.51365 0.43557 -1.06432 -0.646
O 0.97778 0.44071 0.25145 -0.347
H -0.15712 -0.08559 2.57244 0.279
H -1.82486 -0.07170 1.93768 0.313
H -0.83636 1.41190 1.93164 0.264
H -1.23901 -2.11667 -1.66376 0.174
H 0.75668 0.18606 -1.81385 0.314
H 1.89984 1.43659 -1.26740 0.223
H 2.32940 -0.29119 -1.12001 0.229

---

109
Properties=species:S:1:pos:R:3:mulliken_charge:R:1 method="wB97M-V/def2-TZVPD" energy_ev=-101748.80166 gap_ev=10.6 lumo_energy_ev=0.12 homo_ev=-10.46 smiles="FC(F)C(F)(F)COC(F)(F)C(F)F.C[C@H]1COC(=O)O1.C[C@H]1COC(=O)O1.C[C@H]1COC(=O)O1.C[C@H]1COC(=O)O1.C[C@H]1COC(=O)O1.C[C@H]1COC(=O)O1.C[C@H]1COC(=O)O1" spin_multiplicity=1
F 1.87124 4.49912 -6.09281 -0.289
C 1.09720 4.61035 -5.04785 0.076
F -0.20775 4.75489 -5.41269 -0.282
C 1.16944 3.44603 -4.07007 1.086
F 0.59864 2.36289 -4.52015 -0.297
F 0.48195 3.85827 -3.01868 -0.307
C 2.54349 2.93165 -3.58748 -0.963
O 2.57334 2.22206 -2.31173 -0.240
C 2.99090 0.86085 -2.24967 0.869
F 1.93961 0.14571 -2.80627 -0.246
F 4.12257 0.60405 -2.93377 -0.293
C 3.35567 0.39154 -0.80572 0.481
F 3.67070 -0.92921 -0.64909 -0.219
F 4.34034 1.08740 -0.25634 -0.296
H 1.51590 5.50338 -4.58386 0.202
H 3.15364 3.83486 -3.59282 0.419
-- stop --

and may i say, you are a lucky man this time of year to be able to see that... I'll have to snap you a photo of my garden...... dismal at best



Someone pasted records of molecules at this point =
____________
Formula: C2H9N3O
Source: OMol25
Level of theory: ωB97M-V with the def2-TZVPD basis set

The geometry in ORCA input format:
```
! RIJCOSX wB97M-V def2-TZVPD def2/J DEFGRID3
* xyz 2 1
C 1.223 0.130 0.000
C -1.502 -0.311 0.576
N 2.234 -0.704 0.006
N 1.147 1.446 -0.037
N -2.387 -1.167 -0.220
O 2.190 2.267 -0.216
H -0.878 -0.626 1.394
H -1.913 0.670 0.649
H 2.196 -1.673 -0.198
H 3.149 -0.247 0.052
H 0.113 1.804 0.209
H -3.329 -1.513 0.339
H -1.796 -1.989 -0.315
H -2.584 -0.878 -1.143
H 2.137 2.792 -1.096
*
```

## Properties
ΔE to the lowest compared entry with this formula, charge and spin in kcal per mole: 129.8
Largest force on an atom in hartree/bohr: 0.09027
HOMO energy (alpha / beta) in eV: -18.90 / -18.78

Formula: C30H51IN4O3PSTi
Source: OMol25
Level of theory: ωB97M-V with the def2-TZVPD basis set

The geometry in ORCA input format:
```
! RIJCOSX wB97M-V def2-TZVPD def2/J DEFGRID3
* xyz 2 2
Ti 2.833 0.897 0.293
C 5.855 0.031 1.151
C 5.054 -1.268 0.985
N 3.659 -0.952 1.344
C 3.406 -0.680 2.843
C 3.728 0.743 3.306
S 3.401 2.211 2.183
C 5.112 2.935 1.904
C 5.720 2.454 0.641
N 5.207 1.073 0.287
H 6.875 -0.144 0.760
H 5.867 0.334 2.156
H 5.430 -2.089 1.597
H 5.084 -1.543 -0.113
H 2.983 -1.682 1.103
H 3.951 -1.406 3.482
H 2.338 -0.806 2.901
H 4.704 0.813 3.770
H 2.999 0.991 4.124
H 5.747 2.757 2.785
H 4.993 4.062 1.907
H 6.823 2.431 0.738
H 5.387 3.126 -0.152
H 5.559 0.912 -0.675
C -0.606 0.108 3.406
C -0.748 1.200 2.342
N -1.943 1.787 2.399
C -2.144 2.876 1.693
C -1.267 3.379 0.700
C -1.576 4.653 -0.023
O -1.641 4.404 -1.448
C -0.176 2.599 0.406
C 0.742 2.848 -0.671
N 1.897 2.178 -0.898
C 2.895 2.329 -1.858
C 3.394 3.554 -2.316
C 4.267 3.426 -3.436
C 4.806 2.216 -3.858
C 4.565 1.038 -3.140
C 3.522 1.100 -2.222
I 2.329 -0.870 -1.837
C 0.099 1.430 1.190
O 1.133 0.660 0.927
H -1.171 0.554 4.268
H 0.407 -0.200 3.734
H -1.127 -0.759 3.032
H -3.042 3.468 1.938
H -0.819 5.419 0.163
H -2.532 5.018 0.358
H -1.584 5.240 -1.905
H 0.537 3.712 -1.278
H 3.122 4.517 -1.902
H 4.494 4.391 -3.939
H 5.462 2.146 -4.699
H 5.038 0.041 -3.286
C -2.040 -7.629 0.001
C -0.798 -6.932 -0.382
P -0.980 -5.087 -0.825
C -2.488 -5.183 -1.898
C -2.414 -3.953 -2.780
C -1.762 -4.414 0.772
C -2.358 -3.023 0.630
H -1.821 -8.693 0.346
H -2.831 -7.658 -0.770
H -2.497 -7.243 0.896
H -0.257 -7.430 -1.186
H -0.106 -6.844 0.473
H -3.363 -5.275 -1.286
H -2.392 -6.107 -2.531
H -2.265 -4.115 -3.823
H -1.650 -3.238 -2.499
H -3.332 -3.324 -2.680
H -1.002 -4.456 1.577
H -2.476 -5.237 1.033
H -1.686 -2.344 0.089
H -2.498 -2.581 1.623
H -3.251 -2.993 0.026
C -7.832 0.139 0.362
C -7.236 0.605 -0.947
O -6.121 1.409 -0.612
C -5.554 2.112 -1.729
C -5.125 3.534 -1.451
H -7.079 -0.183 1.050
H -8.638 -0.603 0.334
H -8.269 1.039 0.890
H -8.005 1.209 -1.471
H -6.891 -0.287 -1.487
H -6.216 2.096 -2.606
H -4.686 1.492 -1.981
H -6.006 4.150 -1.286
H -4.697 3.848 -2.418
H -4.425 3.535 -0.613
*
```

## Properties
ΔE to the lowest compared entry with this formula, charge and spin in kcal per mole: 0.0
____________
The records of molecules stop here =

Active Member
:bigjoint:Morning Bro.....
I'd love a couple of kilos of field fresh peas more than christmas dinner.
Quick before it goes out my head...
photo #4 for the length of her fingers...
#8 for the overhead
#27 and #34 I think.....

They are My Faves....ATM...

go by the TRICS Joker...that is the business end.....


Active Member
WOW...MISSED IT...FULLD..................................................

you got you christmas pressie early...............



:o :o :o :weed: :weed: :weed: :hug: :hug: :hug: :clap: :clap: :clap: :fire: :hump: :hump: :hump: bongsmilie bongsmilie bongsmilie:bigjoint: :bigjoint: :bigjoint: :cool: :cool: :cool: 8) 8) 8)



Active Member
Here come the Girls..girls..girls.....

3 variations on a theme...all DC..
on the left the most pheno stable f3's...
middle Me Beauty..the BX1...
the dark green at the back Roxi..F1...

All the same girls on Paper...
But..different dominances.

When I looked at me beauty I was thinkin she has the Elegance of an Afghan Hound...
then I realised..she is one....Afghan Hound that is...:mrgreen:


Active Member

The RedHead in the f3's...
I Think this one will stay red..
but there is a Creeping purple in the she could purple over.

JM..take a 1ltr bottle with you next time you visit the grow room and stand it in the pots when you photo...
I can see you have Tall girls as well...seeing the bottle gives perspective.